(Exercise)
It remains to work out how many lines underneath have the word "kcal" in them; a number is enough.

(Excerpt)
- - -
Record 1
Density functional theory data (ωB97M-V with the def2-TZVPD basis set) for C8H14INO4 as an isolated structure.

E_tot: -26302.8362 eV

Atoms and positions in Å:
C: 4.39 -0.86 0.64
C: 3.29 -0.98 -0.36
O: 2.64 -2.00 -0.51
O: 3.11 0.13 -1.12
C: 1.78 0.64 -1.20
C: 0.91 0.39 0.02
C: -0.31 1.31 0.02
C: -1.27 0.95 1.16
C: -2.71 0.79 0.67
N: -2.82 -0.55 0.05
C: -3.90 -0.65 -0.85
O: -4.77 0.19 -1.00
O: -3.84 -1.70 -1.72
I: -3.42 -3.47 -0.88
H: 5.33 -1.17 0.18
H: 4.20 -1.53 1.45
H: 4.51 0.15 1.01
H: 1.89 1.71 -1.32
H: 1.26 0.28 -2.08
H: 0.53 -0.62 -0.01
H: 1.45 0.54 0.95
H: -0.82 1.22 -0.94
H: 0.01 2.34 0.11
H: -0.96 -0.01 1.56
H: -1.21 1.71 1.93
H: -3.37 0.85 1.52
H: -2.95 1.54 -0.06
H: -2.97 -1.21 0.80

Record 2
Density functional theory data (ωB97M-V with the def2-TZVPD basis set) for C40H34BiCl2N3O3S6 as an isolated structure.

ΔE to the lowest compared entry with this formula, charge and spin: 0.0 kJ/mol
net charge: -2
E_tot: -148541.1882 eV

Atoms and positions in Å:
Bi: 1.01 0.88 0.68
C: 3.01 -0.42 -1.12
C: 2.99 -1.57 -0.34
C: 3.39 -1.24 0.97
C: 3.65 0.13 1.01
C: 3.35 0.68 -0.28
H: 2.71 -0.34 -2.16
H: 2.67 -2.55 -0.67
H: 3.41 -1.92 1.81
H: 3.97 0.70 1.87
H: 3.59 1.69 -0.58
O: -1.61 1.17 1.13
C: -2.00 1.29 2.47
C: -1.10 0.57 3.44
C: -1.62 -0.19 4.48
C: -0.75 -0.79 5.38
C: 0.61 -0.62 5.21
C: 1.05 0.12 4.12
N: 0.21 0.72 3.27
H: -1.85 0.24 0.77
H: -3.03 0.94 2.61
H: -1.97 2.36 2.72
H: -2.69 -0.35 4.54
H: -1.13 -1.41 6.18
H: 1.33 -1.11 5.85
H: 2.10 0.22 3.91
Cl: 3.84 4.21 1.77
C: 2.45 4.97 1.03
C: 2.48 6.34 0.83
C: 1.41 6.99 0.23
C: 0.30 6.24 -0.14
C: 0.28 4.88 0.07
Cl: -1.16 3.99 -0.35
C: 1.36 4.12 0.65
N: 1.38 2.83 0.81
H: 3.36 6.89 1.14
H: 1.43 8.06 0.07
H: -0.56 6.71 -0.59
O: -2.97 -1.84 1.95
C: -2.51 -2.01 0.82
O: -1.92 -1.13 0.11
C: -2.61 -3.38 0.18
C: -2.48 -4.53 0.96
C: -2.58 -5.78 0.37
C: -2.85 -5.90 -0.99
C: -2.99 -4.76 -1.76
C: -2.86 -3.51 -1.18
H: -2.25 -4.42 2.01
H: -2.44 -6.67 0.98
H: -2.94 -6.88 -1.44
H: -3.19 -4.85 -2.83
H: -2.93 -2.60 -1.78
N: -0.17 0.45 -1.60
S: -0.42 0.58 -3.14
C: -2.08 1.24 -3.46
C: -2.44 2.56 -3.24
C: -3.76 2.94 -3.39
C: -4.72 2.00 -3.75
C: -4.36 0.68 -3.98
C: -3.03 0.30 -3.83
C: 0.52 2.02 -3.62
C: 0.46 2.42 -4.95
C: 1.18 3.54 -5.35
C: 1.95 4.23 -4.42
C: 2.00 3.82 -3.10
C: 1.29 2.70 -2.69
H: -0.55 -0.45 -1.30
H: -1.69 3.29 -2.93
H: -4.05 3.97 -3.20
H: -5.76 2.30 -3.86
H: -5.10 -0.05 -4.25
H: -2.73 -0.73 -3.99
H: -0.15 1.88 -5.66
H: 1.14 3.86 -6.38
H: 2.51 5.11 -4.73
H: 2.58 4.36 -2.37
H: 1.31 2.38 -1.66
C: 1.44 -5.59 0.30
S: 0.95 -6.48 1.80
C: 1.88 -5.63 3.02
C: 1.71 -4.32 3.36
S: 0.64 -3.16 2.76
S: 2.85 -3.82 4.63
C: 3.68 -5.30 4.90
S: 4.89 -5.51 6.02
S: 3.14 -6.53 3.83
H: 0.83 -5.98 -0.51
H: 2.50 -5.75 0.09
H: 1.22 -4.53 0.44

Calculated values (eV) of HOMO level for the records, taken in order: -10.0 -2.0.
Calculated values (eV Å⁻¹) of largest force on an atom for the records, taken in order: 2.2 0.7.


ORCA calculation (ωB97M-V/def2-TZVPD) on a molecular structure, C29H32MoN4O6S2.

Computed properties:
Net charge = +2
Molar mass = 692.7 g mol⁻¹
Frontier orbital gap (alpha / beta) = 7.30 / 7.36 eV
Energy relative to the best compared isomer or geometry (same formula, charge and spin) = 91.9 kcal per mole

```
74
Properties=species:S:1:pos:R:3:lowdin_charge:R:1
Mo -0.601 0.667 0.644 1.7694
O 2.686 -1.222 -1.376 -0.2023
S 2.162 -0.773 -0.136 0.8134
O 0.966 -1.749 0.250 -0.2386
N 1.384 0.595 -0.065 -0.2807
C 2.059 1.835 -0.230 -0.2481
C 3.201 2.075 -0.943 0.0263
C 3.754 3.376 -0.956 -0.0211
C 3.170 4.404 -0.272 0.0094
C 1.980 4.180 0.463 -0.1260
C 1.305 5.169 1.213 0.0527
C 0.163 4.849 1.900 -0.0026
C -0.334 3.542 1.834 -0.0617
N 0.271 2.595 1.131 -0.0307
C 1.427 2.891 0.461 -0.1655
C 3.367 -0.843 1.115 -0.3001
C 4.434 -1.721 0.948 -0.0235
C 5.370 -1.817 1.964 -0.0258
C 5.235 -1.042 3.110 -0.0207
C 4.169 -0.162 3.256 -0.0366
C 3.220 -0.056 2.255 -0.0639
H 3.683 1.284 -1.504 0.1246
H 4.656 3.548 -1.526 0.1254
H 3.602 5.395 -0.287 0.1314
H 1.701 6.176 1.240 0.1396
- - -

(Here it is)
1